Discuss five year agreement with the Lockhart Youth Soccer Association (LYSA) for use of the Cpl. Jason K. LaFleur Sports Complex whereby LYSA would take over certain maintenance and operational responsibilities in exchange for defined control of the fields and concession stand, and appointing the City Manager to sign the agreement, if approved by Council.
Discuss implementing the new website of the City of Lockhart, Texas and authorizing staff to proceed with all aspects involved in the transition.
Discuss Ordinance 2017-05 suspending until June 16, 2017, the proposed Gas Reliability Infrastructure Program (GRIP) interim rate adjustment of the Texas Gas Service Company, a division of One Gas, filed March 3, 2017.
Discuss Ordinance 2017-06 amending portions of Chapter 58, Article III, Water, Sewer, Electric Extensions, Division 1, Generally, Chapter 58, Sections 58-171 through 58-174 of the Code of Ordinances providing for a utility main extension application and a pro-rata reimbursement application and process.
Discuss Change Order #2 for Qro-Mex Construction Company, Inc., to increase the current contract by $45,950 making the new contract amount $2,154,615 for utility work on Locust Street to accommodate drainage work to be performed on Pine, Comal, Ash Streets, and for other increased quantities in the current contract, and appointing the Mayor to sign the change order, if approved.
Discussion regarding Resolution 2017-06 rescinding Resolution 2016-12 which approved the 4B economic development project by Hill Country Foodworks, LLC at 215 E. MLK, Jr. Industrial Blvd. in order to establish 4B projects with the same company.
Discussion regarding Resolution 2017-07 approving a 4A type project under Section 4B of the Texas Economic Development Corporation Act of 1979, as amended, for funding of Hill Country Foodworks, LLC, in an amount not to exceed $186,000 to employ a minimum of 20 full time equivalent employees with an average annual wage of $30,250 and an estimated capital investment of $1,475 million over the three-year contractual period for land/building located at 215 E. MLK, Jr. Industrial Blvd. improvements and professional services.
Discussion regarding an amended Chapter 380 Economic Development Incentive Agreement with Hill Country Foodworks, LLC which reflects a new scope of development including a 5,000 square foot addition to the building at 215 E. MLK Jr. Industrial Blvd. which significantly increases the project investment for the project from $450,000 to $920,000 over the three- year agreement period which includes a minimum of 20 jobs making a minimum annual wage of $30,250.
Discussion after Fiscal Year 2016-2017 City Council Goals update by the City Manager.
1. CALL TO ORDER Mayor Lew White 2. INVOCATION. PLEDGE OF ALLEGIANCE Invocation - Ministerial Alliance. Pledge of Allegiance to the United States and Texas flags.
CITIZENS/VISITORS COMMENTS (The purpose of this item is to allow citizens an opportunity to address the City Council on issues that are not on the agenda. No discussion can be carried out on the citizen/visitor comment.)
DISCUSSION/ACTION ITEMS Discussion and/or action regarding Resolution 2017-06 rescinding Resolution 2016-12 which approved the 4B economic development project by Hill Country Foodworks, LLC at 215 E. MLK, Jr. Industrial Blvd. in order to establish 4B projects with the same company.
Conduct the first of two required readings of Resolution 2017-07 approving a 4A type project under Section 4B of the Texas Economic Development Corporation Act of 1979, as amended, for funding of Hill Country Foodworks, LLC, in an amount not to exceed $186,000 to employ a minimum of 20 full time equivalent employees with an average annual wage of $30,250 and an estimated capital investment of $1,475 million over the three-year contractual period for land/building located at 215 E. MLK, Jr. Industrial Blvd. improvements and professional services.
A. Approve minutes of the City Council meeting of March 7, 2017. B. Approve five year agreement with the Lockhart Youth Soccer Association (LYSA) for use of the Cpl. Jason K. LaFleur Sports Complex whereby LYSA would take over certain maintenance and operational responsibilities in exchange for defined control of the fields and concession stand, and appointing the City Manager to sign the agreement, if approved by Council. C. Approve implementing the new website of the City of Lockhart, Texas and authorizing staff to proceed with all aspects involved in the transition. D. Approve Ordinance 2017-05 suspending until June 16, 2017, the proposed Gas Reliability Infrastructure Program (GRIP) interim rate adjustment of the Texas Gas Service Company, a division of One Gas, filed March 3, 2017. E. Approve Ordinance 2017-06 amending portions of Chapter 58, Article III, Water, Sewer, Electric Extensions, Division 1, Generally, Chapter 58, Sections 58-171 through 58-174 of the Code of Ordinances providing for a utility main extension application and a pro-rata reimbursement application and process. F. Approve Change Order #2 for Qro-Mex Construction Company, Inc., to increase the current contract by $45,950 making the new contract amount $2,154,615 for utility work on Locust Street to accommodate drainage work to be performed on Pine, Comal, Ash Streets, and for other increased quantities in the current contract, and appointing the Mayor to sign the change order, if approved.
DISCUSSION/ACTION ITEMS Conduct the second of two required readings and discussion and/or action regarding Resolution 2017-07 approving a 4A type project under Section 4B of the Texas Economic Development Corporation Act of 1979, as amended, for funding of Hill Country Foodworks, LLC, in an amount not to exceed $186,000 to employ a minimum of 20 full time equivalent employees with an average annual wage of $30,250 and an estimated capital investment of $1.475 million over the three-year contractual period for land/building located at 215 E. MLK, Jr. Industrial Blvd. improvements and professional services.
Discussion and/or action regarding an amended Chapter 380 Economic Development Incentive Agreement with Hill Country Foodworks, LLC which reflects a new scope of development including a 5,000 square foot addition to the building at 215 E. MLK Jr. Industrial Blvd. which significantly increases the project investment for the project from $450,000 to $920,000 over the three-year agreement period which includes a minimum of 20 jobs making a minimum annual wage of $30,250.
Discussion and/or action after Fiscal Year 2016-2017 City Council Goals update by the City Manager.
Discussion and/or action regarding appointments to various boards, commissions or committees.
CITY MANAGER'S REPORT, PRESENTATION AND POSSIBLE DISCUSSION • Update: US Hwy 183 expansion project, Blackjack to Wal-Mart; the last design puts all drainage waters on the west side until it gets down to the ditch between Smith Supply and Walmart; West side almost complete. • Update: Drainage work continues on Mesquite, Braden, Wichita, and Vega Street areas; detention ponds and other work about 98% complete; patching and paving of streets should be completed within the next 10 days, weather-permitting. Rain has delayed paving. • Update: E. Walnut Street Neighborhood Drainage Project, utility clearance work completed; contract putting down first course of base soon and then will start the curbing; rain has been a problem. • Update: Bid advertisements for the Ash, Comal, and Pine Street Drainage Project are now planned within the next 30 days; utility clearances are taking longer than anticipated. We will wait on bidding out to conflict with City crews working on water/sewer clearances; a neighborhood meeting will be set up after the bidding but before the project starts. • Update: Utility main extension projects in western corridor are being designed and will be ready for bid in about 60 days. • Report: Welcome Spring Day Event in City Park held on Saturday, March 18 with Kid Fish, Bouncy House, Free Hot Dogs, Petting Zoo, and Chamber Chili Cook-off. • Report: Greater Caldwell County Hispanic Chamber of Commerce Banquet held Sat March 18. • Reminder: Spring Festival at the Lockhart Animal Shelter on Saturday, April 1, starting at 11 am with kids show, food, and prizes showcasing the improvements recently completed at the shelter. • Reminder: Lockhart Cowtown Stroll, Saturday, April 1, Downtown starting at 4 pm. • Reminder: City Wide Residential Spring Clean Up starts first Wednesday in April. • Reminder: Don't Mess with Texas Trash Off on Saturday, April 8th. • Reminder: 11th Annual Lockhart Kiwanis 5K Stampede or 1K Fun Run/Walk, Saturday, April 15th. • Reminder: The Texas Mustang Club will have about 300 Mustangs on display at the First Lockhart Baptist Church Parking lots on W. Prairie Street starting at 1 pm Saturday, April 15, after the Kiwanis events. • Announcement: Taking City Pool Lifeguard Applications. • Announcement: City of Lockhart has received the LCRA Community Grant in the amount of $25,000 to help with lighting at the Cpl. Jason K. LaFleur Sports Complex
8. COUNCIL AND STAFF COMMENTS - ITEMS OF COMMUNITY INTEREST (**ltems of Community Interest defined below) 9. ADJOURNMENT
Discuss five year agreement with the Lockhart Youth Soccer Association (LYSA) for use of the Cpl. Jason K. LaFleur Sports Complex whereby LYSA would take over certain maintenance and operational responsibilities in exchange for defined control of the fields and concession stand, and appointing the City Manager to sign the agreement, if approved by Council.
No. 1
For Pm2ZnSn4Pd3, a cell relaxed with PBE gives the theoretical X-ray powder pattern in this record (Cu Kα (λ = 1.5418 Å)).
Lines closer than 0.1° are merged.

Cell and atoms:
```
data_Pm2ZnSn4Pd3
_chemical_formula_sum 'Pm2 Zn1 Sn4 Pd3'
_cell_length_a 4.4387
_cell_length_b 4.4387
_cell_length_c 11.4030
_cell_angle_alpha 90.00
_cell_angle_beta 90.00
_cell_angle_gamma 90.00
_symmetry_space_group_name_H-M 'P -4 m 2'
_symmetry_Int_Tables_number 115
loop_
_symmetry_equiv_pos_as_xyz
'x,y,z'
'y,-x,-z'
'-x,-y,z'
'-y,x,-z'
'-x,y,z'
'-y,-x,-z'
'x,-y,z'
'y,x,-z'
loop_
_atom_site_label
_atom_site_type_symbol
_atom_site_fract_x
_atom_site_fract_y
_atom_site_fract_z
Pm1 Pm 0.0000 0.5000 0.2416
Zn1 Zn 0.5000 0.5000 0.0000
Sn1 Sn 0.0000 0.0000 0.5000
Sn2 Sn 0.0000 0.5000 0.8644
Sn3 Sn 0.5000 0.5000 0.5000
Pd1 Pd 0.0000 0.0000 0.0000
Pd2 Pd 0.0000 0.5000 0.6361
```

Main lines, in order of rising 2θ (2θ from 10° to 90°):
30.97 deg, I = 56, hkl 1 0 3; 32.57 deg, I = 100, hkl 1 1 2; 40.65 deg, I = 63, hkl 2 0 0; 42.86 deg, I = 26, hkl 1 1 4; 44.67 deg, I = 34, hkl 1 0 5; 51.97 deg, I = 26, hkl 2 1 3; 58.85 deg, I = 21, hkl 2 2 0; 61.98 deg, I = 26, hkl 2 1 5; 68.89 deg, I = 23, hkl 3 1 2; 80.00 deg, I = 15, hkl 2 0 8



No. 2
For Pu2BeAlPd6, a cell relaxed with PBE gives the theoretical X-ray powder pattern in this record (Cu Kα (λ = 1.5418 Å)).
Lines closer than 0.1° are merged.

Cell and atoms:
```
data_Pu2BeAlPd6
_chemical_formula_sum 'Pu4 Be2 Al2 Pd12'
_cell_length_a 10.0629
_cell_length_b 5.8074
_cell_length_c 7.1496
_cell_angle_alpha 90.00
_cell_angle_beta 118.05
_cell_angle_gamma 90.00
_symmetry_space_group_name_H-M 'C 1 2/m 1'
_symmetry_Int_Tables_number 12
loop_
_symmetry_equiv_pos_as_xyz
'x,y,z'
'-x,-y,-z'
'-x,y,-z'
'x,-y,z'
'x+1/2,y+1/2,z'
'-x+1/2,-y+1/2,-z'
'-x+1/2,y+1/2,-z'
'x+1/2,-y+1/2,z'
loop_
_atom_site_label
_atom_site_type_symbol
_atom_site_fract_x
_atom_site_fract_y
_atom_site_fract_z
Pu1 Pu 0.2173 0.0000 0.1533
Be1 Be 0.0000 0.0000 0.5000
Al1 Al 0.0000 0.5000 0.0000
Pd1 Pd 0.0193 0.2594 0.3001
Pd2 Pd 0.2398 0.0000 0.6981
```

Main lines, in order of rising 2θ (2θ from 10° to 90°):
19.99 deg, I = 14, hkl 1 1 -1; 28.29 deg, I = 27, hkl 0 0 2; 29.53 deg, I = 45, hkl 1 1 -2; 33.98 deg, I = 30, hkl 3 1 0; 36.98 deg, I = 100, hkl 2 2 0; 37.77 deg, I = 33, hkl 1 1 2; 40.62 deg, I = 65, hkl 4 0 0; 53.81 deg, I = 24, hkl 3 1 -4; 59.42 deg, I = 22, hkl 5 1 -4; 64.13 deg, I = 24, hkl 0 4 0



No. 3
For PmZnRh, a cell relaxed with PBE gives the theoretical X-ray powder pattern in this record (Cu Kα (λ = 1.5418 Å)).
Lines closer than 0.1° are merged.

Cell and atoms:
```
data_PmZnRh
_chemical_formula_sum 'Pm4 Zn4 Rh4'
_cell_length_a 6.4983
_cell_length_b 6.4983
_cell_length_c 6.4983
_cell_angle_alpha 90.00
_cell_angle_beta 90.00
_cell_angle_gamma 90.00
_symmetry_space_group_name_H-M 'F -4 3 m'
_symmetry_Int_Tables_number 216
_symmetry_space_group_name_Hall 'F -4 2 3'
loop_
_atom_site_label
_atom_site_type_symbol
_atom_site_fract_x
_atom_site_fract_y
Discuss implementing the new website of the City of Lockhart, Texas and authorizing staff to proceed with all aspects involved in the transition.
Discuss Ordinance 2017-05 suspending until June 16, 2017, the proposed Gas Reliability Infrastructure Program (GRIP) interim rate adjustment of the Texas Gas Service Company, a division of One Gas, filed March 3, 2017.
Discuss Ordinance 2017-06 amending portions of Chapter 58, Article III, Water, Sewer, Electric Extensions, Division 1, Generally, Chapter 58, Sections 58-171 through 58-174 of the Code of Ordinances providing for a utility main extension application and a pro-rata reimbursement application and process.
Discuss Change Order #2 for Qro-Mex Construction Company, Inc., to increase the current contract by $45,950 making the new contract amount $2,154,615 for utility work on Locust Street to accommodate drainage work to be performed on Pine, Comal, Ash Streets, and for other increased quantities in the current contract, and appointing the Mayor to sign the change order, if approved.
Discussion regarding Resolution 2017-06 rescinding Resolution 2016-12 which approved the 4B economic development project by Hill Country Foodworks, LLC at 215 E. MLK, Jr. Industrial Blvd. in order to establish 4B projects with the same company.
Discussion regarding Resolution 2017-07 approving a 4A type project under Section 4B of the Texas Economic Development Corporation Act of 1979, as amended, for funding of Hill Country Foodworks, LLC, in an amount not to exceed $186,000 to employ a minimum of 20 full time equivalent employees with an average annual wage of $30,250 and an estimated capital investment of $1,475 million over the three-year contractual period for land/building located at 215 E. MLK, Jr. Industrial Blvd. improvements and professional services.
Discussion regarding an amended Chapter 380 Economic Development Incentive Agreement with Hill Country Foodworks, LLC which reflects a new scope of development including a 5,000 square foot addition to the building at 215 E. MLK Jr. Industrial Blvd. which significantly increases the project investment for the project from $450,000 to $920,000 over the three- year agreement period which includes a minimum of 20 jobs making a minimum annual wage of $30,250.
Discussion after Fiscal Year 2016-2017 City Council Goals update by the City Manager.
1. CALL TO ORDER Mayor Lew White 2. INVOCATION. PLEDGE OF ALLEGIANCE Invocation - Ministerial Alliance. Pledge of Allegiance to the United States and Texas flags.
CITIZENS/VISITORS COMMENTS (The purpose of this item is to allow citizens an opportunity to address the City Council on issues that are not on the agenda. No discussion can be carried out on the citizen/visitor comment.)
DISCUSSION/ACTION ITEMS Discussion and/or action regarding Resolution 2017-06 rescinding Resolution 2016-12 which approved the 4B economic development project by Hill Country Foodworks, LLC at 215 E. MLK, Jr. Industrial Blvd. in order to establish 4B projects with the same company.
Conduct the first of two required readings of Resolution 2017-07 approving a 4A type project under Section 4B of the Texas Economic Development Corporation Act of 1979, as amended, for funding of Hill Country Foodworks, LLC, in an amount not to exceed $186,000 to employ a minimum of 20 full time equivalent employees with an average annual wage of $30,250 and an estimated capital investment of $1,475 million over the three-year contractual period for land/building located at 215 E. MLK, Jr. Industrial Blvd. improvements and professional services.
A. Approve minutes of the City Council meeting of March 7, 2017. B. Approve five year agreement with the Lockhart Youth Soccer Association (LYSA) for use of the Cpl. Jason K. LaFleur Sports Complex whereby LYSA would take over certain maintenance and operational responsibilities in exchange for defined control of the fields and concession stand, and appointing the City Manager to sign the agreement, if approved by Council. C. Approve implementing the new website of the City of Lockhart, Texas and authorizing staff to proceed with all aspects involved in the transition. D. Approve Ordinance 2017-05 suspending until June 16, 2017, the proposed Gas Reliability Infrastructure Program (GRIP) interim rate adjustment of the Texas Gas Service Company, a division of One Gas, filed March 3, 2017. E. Approve Ordinance 2017-06 amending portions of Chapter 58, Article III, Water, Sewer, Electric Extensions, Division 1, Generally, Chapter 58, Sections 58-171 through 58-174 of the Code of Ordinances providing for a utility main extension application and a pro-rata reimbursement application and process. F. Approve Change Order #2 for Qro-Mex Construction Company, Inc., to increase the current contract by $45,950 making the new contract amount $2,154,615 for utility work on Locust Street to accommodate drainage work to be performed on Pine, Comal, Ash Streets, and for other increased quantities in the current contract, and appointing the Mayor to sign the change order, if approved.
DISCUSSION/ACTION ITEMS Conduct the second of two required readings and discussion and/or action regarding Resolution 2017-07 approving a 4A type project under Section 4B of the Texas Economic Development Corporation Act of 1979, as amended, for funding of Hill Country Foodworks, LLC, in an amount not to exceed $186,000 to employ a minimum of 20 full time equivalent employees with an average annual wage of $30,250 and an estimated capital investment of $1.475 million over the three-year contractual period for land/building located at 215 E. MLK, Jr. Industrial Blvd. improvements and professional services.
Discussion and/or action regarding an amended Chapter 380 Economic Development Incentive Agreement with Hill Country Foodworks, LLC which reflects a new scope of development including a 5,000 square foot addition to the building at 215 E. MLK Jr. Industrial Blvd. which significantly increases the project investment for the project from $450,000 to $920,000 over the three-year agreement period which includes a minimum of 20 jobs making a minimum annual wage of $30,250.
Discussion and/or action after Fiscal Year 2016-2017 City Council Goals update by the City Manager.
Discussion and/or action regarding appointments to various boards, commissions or committees.
CITY MANAGER'S REPORT, PRESENTATION AND POSSIBLE DISCUSSION • Update: US Hwy 183 expansion project, Blackjack to Wal-Mart; the last design puts all drainage waters on the west side until it gets down to the ditch between Smith Supply and Walmart; West side almost complete. • Update: Drainage work continues on Mesquite, Braden, Wichita, and Vega Street areas; detention ponds and other work about 98% complete; patching and paving of streets should be completed within the next 10 days, weather-permitting. Rain has delayed paving. • Update: E. Walnut Street Neighborhood Drainage Project, utility clearance work completed; contract putting down first course of base soon and then will start the curbing; rain has been a problem. • Update: Bid advertisements for the Ash, Comal, and Pine Street Drainage Project are now planned within the next 30 days; utility clearances are taking longer than anticipated. We will wait on bidding out to conflict with City crews working on water/sewer clearances; a neighborhood meeting will be set up after the bidding but before the project starts. • Update: Utility main extension projects in western corridor are being designed and will be ready for bid in about 60 days. • Report: Welcome Spring Day Event in City Park held on Saturday, March 18 with Kid Fish, Bouncy House, Free Hot Dogs, Petting Zoo, and Chamber Chili Cook-off. • Report: Greater Caldwell County Hispanic Chamber of Commerce Banquet held Sat March 18. • Reminder: Spring Festival at the Lockhart Animal Shelter on Saturday, April 1, starting at 11 am with kids show, food, and prizes showcasing the improvements recently completed at the shelter. • Reminder: Lockhart Cowtown Stroll, Saturday, April 1, Downtown starting at 4 pm. • Reminder: City Wide Residential Spring Clean Up starts first Wednesday in April. • Reminder: Don't Mess with Texas Trash Off on Saturday, April 8th. • Reminder: 11th Annual Lockhart Kiwanis 5K Stampede or 1K Fun Run/Walk, Saturday, April 15th. • Reminder: The Texas Mustang Club will have about 300 Mustangs on display at the First Lockhart Baptist Church Parking lots on W. Prairie Street starting at 1 pm Saturday, April 15, after the Kiwanis events. • Announcement: Taking City Pool Lifeguard Applications. • Announcement: City of Lockhart has received the LCRA Community Grant in the amount of $25,000 to help with lighting at the Cpl. Jason K. LaFleur Sports Complex
8. COUNCIL AND STAFF COMMENTS - ITEMS OF COMMUNITY INTEREST (**ltems of Community Interest defined below) 9. ADJOURNMENT